== Brief ==
The reader should set down only the lines below with the word "this" in them.

== Data ==
-- begin --
The following is a DFT calculation (PBE-GGA) of a relaxed structure of Ac3NdPb2C.

Geometry as CIF:
```
data_Ac3NdPb2C
_space_group_name_H-M_alt 'P 1'
_space_group_IT_number 1
_space_group_name_Hall 'P 1'
_cell_length_a 5.174
_cell_length_b 5.290
_cell_length_c 9.562
_cell_angle_alpha 106.06
_cell_angle_beta 105.70
_cell_angle_gamma 90.00
loop_
_atom_site_label
_atom_site_type_symbol
_atom_site_fract_x
_atom_site_fract_y
_atom_site_fract_z
Ac1 Ac 0.000 0.500 0.000
Ac2 Ac 0.163 0.163 0.326
Ac3 Ac 0.837 0.837 0.674
Nd1 Nd 0.500 0.000 0.000
Pb1 Pb 0.638 0.638 0.275
Pb2 Pb 0.362 0.362 0.725
C1 C 0.000 0.000 0.000
```

Calculated values
- Space group: Immm (71)
- Formation enthalpy at 0 K: -0.380 eV per atom

----------

The following is a DFT calculation (PBE) of crystalline RuSe5 at its relaxed geometry.

Results
Its space group is Amm2, No. 38. The energy relative to the lowest polymorph listed for this composition comes out at 8.4 meV per atom.

Unit cell a=6.828 b=6.828 c=5.302 alpha=90.00 beta=90.00 gamma=148.50
Sites, in units of the cell vectors:
Ru 0.056 0.944 0.000
Se 0.744 0.256 0.500
Se 0.679 0.321 0.000
Se 0.393 0.607 0.500
Se 0.424 0.576 0.000
Se 0.037 0.963 0.500

***

The following is a DFT calculation (PBE) of crystalline RuSe2 at its relaxed geometry.

Results
Its space group is Cm, No. 8.

Unit cell a=6.146 b=3.437 c=12.513 alpha=90.00 beta=100.90 gamma=90.00
Sites, in units of the cell vectors:
Ru 0.934 0.000 0.715
Ru 0.934 0.500 0.215
Ru 0.337 0.000 0.179
Ru 0.337 0.500 0.679
Se 0.525 0.000 0.591
Se 0.525 0.500 0.091
Se 0.961 0.000 0.072
Se 0.961 0.500 0.572
Se 0.173 0.000 0.337
Se 0.173 0.500 0.837
Se 0.712 0.000 0.304
Se 0.712 0.500 0.804

***

The following is a DFT calculation (PBE) of crystalline RuSe5 at its relaxed geometry.

Results
Its space group is Cm, No. 8. The energy relative to the lowest polymorph listed for this composition comes out at 0.0 meV per atom.

Unit cell a=7.452 b=7.452 c=7.820 alpha=57.02 beta=57.02 gamma=27.64
Sites, in units of the cell vectors:
Ru 0.978 0.978 0.998
Se 0.625 0.625 0.764
Se 0.376 0.376 0.264
Se 0.455 0.455 0.792
Se 0.043 0.043 0.231
Se 0.690 0.690 0.119

***

no.,density of states at the Fermi level (states/eV per atom),formation energy from raw total energies (meV/atom)
1,0.602,10
2,0.291,-165
3,0.055,2

----------

No. 1
The following is a DFT calculation (PBE) of a relaxed structure of MgGaTcW.

Calculated values
As for the space-group type: No. 216. As for the energy relative to the elements: 0.055 eV/atom. Its density of states at the Fermi level is 0.76 states/eV per cell.

Geometry as POSCAR:
```
MgGaTcW
1.0
4.437 0.000 0.000
2.218 3.842 0.000
2.218 1.281 3.623
Mg Ga Tc W
1 1 1 1
Direct
0.250 0.250 0.250 Mg
0.000 0.000 0.000 Ga
0.500 0.500 0.500 Tc
0.750 0.750 0.750 W
```

***

No. 2
The following is a DFT calculation (PBE) of a relaxed structure of La3TmHg.

Calculated values
As for the space-group type: No. 12. As for the energy relative to the elements: -0.084 eV/atom. The energy relative to the lowest polymorph listed for this composition is 0.015 eV per atom. Its density of states at the Fermi level is 15.61 states/eV per cell.

Geometry as POSCAR:
```
La3TmHg
1.0
3.597 0.000 -0.637
-0.243 8.266 -1.373
0.172 -1.246 11.454
La Tm Hg
6 2 2
Direct
0.014 0.250 0.029 La
0.986 0.750 0.971 La
0.378 0.963 0.756 La
0.622 0.037 0.244 La
0.176 0.456 0.351 La
0.824 0.544 0.649 La
0.736 0.825 0.473 Tm
0.264 0.175 0.527 Tm
0.585 0.617 0.169 Hg
0.415 0.383 0.831 Hg
```

***

No. 3
The following is a DFT calculation (PBE) of a relaxed structure of Li2FeSN.

Calculated values
As for the space-group type: No. 123. The calculation puts the uncorrected formation energy at 0.820 eV per atom. Its density of states at the Fermi level is 5.18 states/eV per cell.

Geometry as POSCAR:
```
Li2FeSN
1.0
-3.717 2.814 0.842
-0.477 -1.564 3.122
2.867 3.179 2.031
S Li Fe N
1 2 1 1
Direct
0.000 0.000 0.000 S
0.000 0.000 0.500 Li
0.500 0.000 0.000 Li
0.500 0.500 0.500 Fe
-- stop --

== Worked solution ==
Its space group is Amm2, No. 38. The energy relative to the lowest polymorph listed for this composition comes out at 8.4 meV per atom.
Its space group is Cm, No. 8. The energy relative to the lowest polymorph listed for this composition comes out at 0.0 meV per atom.
As for the space-group type: No. 12. As for the energy relative to the elements: -0.084 eV/atom. The energy relative to the lowest polymorph listed for this composition is 0.015 eV per atom. Its density of states at the Fermi level is 15.61 states/eV per cell.